Source:
<<<
DFT (wB97M-V/def2-TZVPD) results for 2 unconnected molecules or ions with the total composition C10H16 in a non-equilibrium geometry.

Element x y z (Å)
C  -2.21784  -0.07205  0.25130
C  -0.72631  0.03882  0.03065
C  0.07884  -1.12181  0.77124
C  0.26565  -1.05610  2.16931
C  1.13726  -2.02284  2.70873
C  1.92131  -2.79289  1.91446
C  1.67137  -2.95010  0.50891
C  0.78897  -1.99236  -0.03707
H  -2.49923  0.40234  1.22695
H  -2.56273  -1.15687  0.12223
H  -2.59185  0.62447  -0.65422
H  -0.43908  0.01252  -0.96669
H  -0.57503  0.88840  0.73269
H  -0.09692  -0.28935  2.77129
H  1.33339  -1.97886  3.85846
H  2.88113  -3.24689  2.34879
H  2.21213  -3.71559  -0.08764
H  0.61559  -2.22481  -1.03509
C  -0.80432  2.41326  -2.20892
C  0.44663  3.19455  -1.83460
H  -0.95685  1.56575  -1.72000
H  -1.67775  3.03103  -2.03987
H  -0.68947  2.25205  -3.18864
H  0.29811  4.16943  -2.37792
H  1.48928  2.75760  -2.41642
H  0.69771  3.27034  -0.84792

Output
Highest occupied orbital energy, eV: -8.84
Relative energy (zero: lowest compared OMol25 entry of this formula, charge and spin), kJ/mol: 300.30
Total charge: 0
Total energy, eV: -10626.6313
SMILES string: CCc1ccccc1.CC
Molar mass, g mol⁻¹: 136.2

----------

{"formula": "C3H3Cl2NS", "method": "ωB97M-V with the def2-TZVPD basis set", "elements": ["S", "C", "Cl", "N", "C", "C", "Cl", "H", "H", "H"], "coordinates": [[-2.499, -1.077, 0.917], [-1.815, -0.802, -0.729], [-2.775, -1.732, -1.880], [-0.874, -0.131, -1.189], [0.192, 0.588, -0.836], [1.224, 0.073, -0.133], [2.767, 0.729, -0.025], [-1.817, -0.140, 1.765], [0.377, 1.498, -1.274], [1.164, -0.958, 0.380]], "atomic_forces_ev_per_a": [[0.75, 0.95, 0.67], [0.79, 0.76, 0.22], [-0.02, 0.05, 0.35], [-2.39, -1.23, -0.58], [2.47, -1.60, 2.36], [-1.71, -2.50, 0.84], [0.85, 0.79, 0.05], [-0.53, -1.09, -1.60], [-0.12, 2.12, -1.27], [-0.09, 1.76, -1.04]], "smiles": "S/C(Cl)=N\\C=C\\Cl", "homo_lumo_gap_ev": 9.00, "e_lumo_ev": 0.39, "de_lowest_kj_mol": 93.8}

----------

Here is C2HClS2 in the gas phase at a distorted geometry from the Open Molecules 2025 dataset. Energies are from ωB97M-V with the def2-TZVPD basis set.

Bonds (Å) are listed after each position.
Element x y z (Å)
1 C 0.494 0.557 -0.247  C2 1.691, S3 1.632, H6 1.196
2 C 2.003 -0.199 -0.133  C1 1.691, S4 1.601, Cl5 1.651
3 S 0.454 2.180 -0.087  C1 1.632
4 S 2.081 -1.797 -0.098  C2 1.601
5 Cl 3.199 0.922 0.066  C2 1.651
6 H -0.506 -0.075 -0.076  C1 1.196

- ΔE to the lowest compared entry with this formula, charge and spin: 60.7 kJ/mol
- Orbital gap: 7.3 eV

----------

Below is C33H28Cl5CrN4O7 as an isolated structure, with properties calculated with ωB97M-V with the def2-TZVPD basis set.

```
78
Properties=species:S:1:pos:R:3:forces:R:3
Cr 0.257 0.509 -0.181 -0.011 0.279 -0.153
C 1.208 -3.891 -0.593 -0.009 -0.042 0.014
O -0.151 -3.908 -1.061 0.034 0.002 -0.023
C -1.043 -3.412 -0.130 -0.053 0.052 0.007
C -1.926 -4.278 0.481 0.013 0.007 0.000
C -2.842 -3.800 1.413 -0.019 0.017 0.017
C -2.840 -2.458 1.734 -0.009 -0.032 -0.006
C -1.951 -1.562 1.132 0.001 0.026 0.026
C -1.997 -0.168 1.537 -0.039 -0.052 0.009
N -1.217 0.737 1.080 -0.016 -0.039 0.105
N -1.395 2.017 1.575 -0.014 -0.126 -0.018
C -0.513 2.814 1.029 0.051 0.177 0.029
O 0.347 2.456 0.147 0.026 -0.117 -0.026
C -0.512 4.239 1.456 0.004 -0.016 -0.019
C -1.392 4.699 2.433 -0.006 -0.010 -0.012
C -1.370 6.030 2.814 -0.013 -0.002 0.015
C -0.471 6.910 2.225 0.002 0.019 -0.003
C 0.406 6.455 1.252 0.006 -0.014 -0.002
C 0.387 5.122 0.868 -0.007 0.003 0.000
C -1.048 -2.033 0.160 0.018 -0.036 0.001
O -0.215 -1.244 -0.508 -0.053 -0.055 0.035
H 1.818 -4.293 -1.402 0.026 0.000 0.011
H 1.306 -4.543 0.279 0.003 0.015 -0.010
H 1.538 -2.882 -0.349 0.011 0.014 -0.006
H -1.876 -5.330 0.226 -0.003 0.006 0.000
H -3.536 -4.477 1.891 0.003 0.001 -0.002
H -3.536 -2.076 2.472 0.004 0.001 -0.002
H -2.737 0.135 2.273 -0.009 -0.005 -0.003
H -2.085 4.001 2.881 0.004 0.005 -0.001
H -2.055 6.383 3.574 0.002 -0.001 -0.003
H -0.457 7.950 2.526 0.002 -0.004 -0.001
>>>

Brief:
It remains to quote all of the notes further above character by character.

Here it is:
DFT (wB97M-V/def2-TZVPD) results for 2 unconnected molecules or ions with the total composition C10H16 in a non-equilibrium geometry.

Element x y z (Å)
C  -2.21784  -0.07205  0.25130
C  -0.72631  0.03882  0.03065
C  0.07884  -1.12181  0.77124
C  0.26565  -1.05610  2.16931
C  1.13726  -2.02284  2.70873
C  1.92131  -2.79289  1.91446
C  1.67137  -2.95010  0.50891
C  0.78897  -1.99236  -0.03707
H  -2.49923  0.40234  1.22695
H  -2.56273  -1.15687  0.12223
H  -2.59185  0.62447  -0.65422
H  -0.43908  0.01252  -0.96669
H  -0.57503  0.88840  0.73269
H  -0.09692  -0.28935  2.77129
H  1.33339  -1.97886  3.85846
H  2.88113  -3.24689  2.34879
H  2.21213  -3.71559  -0.08764
H  0.61559  -2.22481  -1.03509
C  -0.80432  2.41326  -2.20892
C  0.44663  3.19455  -1.83460
H  -0.95685  1.56575  -1.72000
H  -1.67775  3.03103  -2.03987
H  -0.68947  2.25205  -3.18864
H  0.29811  4.16943  -2.37792
H  1.48928  2.75760  -2.41642
H  0.69771  3.27034  -0.84792

Output
Highest occupied orbital energy, eV: -8.84
Relative energy (zero: lowest compared OMol25 entry of this formula, charge and spin), kJ/mol: 300.30
Total charge: 0
Total energy, eV: -10626.6313
SMILES string: CCc1ccccc1.CC
Molar mass, g mol⁻¹: 136.2

----------

{"formula": "C3H3Cl2NS", "method": "ωB97M-V with the def2-TZVPD basis set", "elements": ["S", "C", "Cl", "N", "C", "C", "Cl", "H", "H", "H"], "coordinates": [[-2.499, -1.077, 0.917], [-1.815, -0.802, -0.729], [-2.775, -1.732, -1.880], [-0.874, -0.131, -1.189], [0.192, 0.588, -0.836], [1.224, 0.073, -0.133], [2.767, 0.729, -0.025], [-1.817, -0.140, 1.765], [0.377, 1.498, -1.274], [1.164, -0.958, 0.380]], "atomic_forces_ev_per_a": [[0.75, 0.95, 0.67], [0.79, 0.76, 0.22], [-0.02, 0.05, 0.35], [-2.39, -1.23, -0.58], [2.47, -1.60, 2.36], [-1.71, -2.50, 0.84], [0.85, 0.79, 0.05], [-0.53, -1.09, -1.60], [-0.12, 2.12, -1.27], [-0.09, 1.76, -1.04]], "smiles": "S/C(Cl)=N\\C=C\\Cl", "homo_lumo_gap_ev": 9.00, "e_lumo_ev": 0.39, "de_lowest_kj_mol": 93.8}

----------

Here is C2HClS2 in the gas phase at a distorted geometry from the Open Molecules 2025 dataset. Energies are from ωB97M-V with the def2-TZVPD basis set.

Bonds (Å) are listed after each position.
Element x y z (Å)
1 C 0.494 0.557 -0.247  C2 1.691, S3 1.632, H6 1.196
2 C 2.003 -0.199 -0.133  C1 1.691, S4 1.601, Cl5 1.651
3 S 0.454 2.180 -0.087  C1 1.632
4 S 2.081 -1.797 -0.098  C2 1.601
5 Cl 3.199 0.922 0.066  C2 1.651
6 H -0.506 -0.075 -0.076  C1 1.196

- ΔE to the lowest compared entry with this formula, charge and spin: 60.7 kJ/mol
- Orbital gap: 7.3 eV

----------

Below is C33H28Cl5CrN4O7 as an isolated structure, with properties calculated with ωB97M-V with the def2-TZVPD basis set.

```
78
Properties=species:S:1:pos:R:3:forces:R:3
Cr 0.257 0.509 -0.181 -0.011 0.279 -0.153
C 1.208 -3.891 -0.593 -0.009 -0.042 0.014
O -0.151 -3.908 -1.061 0.034 0.002 -0.023
C -1.043 -3.412 -0.130 -0.053 0.052 0.007
C -1.926 -4.278 0.481 0.013 0.007 0.000
C -2.842 -3.800 1.413 -0.019 0.017 0.017
C -2.840 -2.458 1.734 -0.009 -0.032 -0.006
C -1.951 -1.562 1.132 0.001 0.026 0.026
C -1.997 -0.168 1.537 -0.039 -0.052 0.009
N -1.217 0.737 1.080 -0.016 -0.039 0.105
N -1.395 2.017 1.575 -0.014 -0.126 -0.018
C -0.513 2.814 1.029 0.051 0.177 0.029
O 0.347 2.456 0.147 0.026 -0.117 -0.026
C -0.512 4.239 1.456 0.004 -0.016 -0.019
C -1.392 4.699 2.433 -0.006 -0.010 -0.012
C -1.370 6.030 2.814 -0.013 -0.002 0.015
C -0.471 6.910 2.225 0.002 0.019 -0.003
C 0.406 6.455 1.252 0.006 -0.014 -0.002
C 0.387 5.122 0.868 -0.007 0.003 0.000
C -1.048 -2.033 0.160 0.018 -0.036 0.001
O -0.215 -1.244 -0.508 -0.053 -0.055 0.035
H 1.818 -4.293 -1.402 0.026 0.000 0.011
H 1.306 -4.543 0.279 0.003 0.015 -0.010
H 1.538 -2.882 -0.349 0.011 0.014 -0.006
H -1.876 -5.330 0.226 -0.003 0.006 0.000
H -3.536 -4.477 1.891 0.003 0.001 -0.002
H -3.536 -2.076 2.472 0.004 0.001 -0.002
H -2.737 0.135 2.273 -0.009 -0.005 -0.003
H -2.085 4.001 2.881 0.004 0.005 -0.001
H -2.055 6.383 3.574 0.002 -0.001 -0.003
H -0.457 7.950 2.526 0.002 -0.004 -0.001